Monday, November 17, 2008

Der verbotene Blick auf die Nacktheit

"The Forbidden Gaze at Nudity," was the exhibition that a friend and I went to see here in Düsseldorf on Saturday. Here's a translated discription of exhibition's theme from the museum's website:

In Greek mythology we read about Actaeon the hunter who inadvertently stumbles upon Artemis bathing in the nude. As a punishment for catching this glimpse, he is changed into a stag and is subsequently torn apart by his own dogs. This horrific event was a fairly frequent subject for paintings in Greek art.

After Ovid had included the story of Diana and Actaeon in his book on transformations - "Metamorphoses" - the subject was frequently depicted between the Renaissance and Classicism, as part of a general move to revisit antiquity. This subject from Greek mythology attracted renewed interest among 20th-century artists who focused largely on the psychological aspect.

Using works that relate directly to this mythical tale, the exhibition seeks to cover a broad range: using paintings from antiquity, the Renaissance, Mannerism, the Baroque, Classicism, the 20th century and contemporary art, the exhibition offers an introduction to the complex area of the forbidden glimpse and of erotic art. While delighting in the subject, the exhibition nevertheless maintains the necessary respect for this fascinating and difficult subject.

I may have shared this before, but please allow me to reiterate: I am not a cultured" person. I ain't got no fancy
knowledge 'bout art, history, theatre or whatever, but maybe that makes me more of a statistical control. I don't have so much experience with the subject, giving me a more objective opinion. Maybe?

So anyway, I really enjoyed this exhibition. I was a little worried about feeling awkward or offended by some or most of the pieces, but it wasn't that way at all. There were a lot that I found very touching and many others that were just beautiful, interesting and generally asthetically pleasing. It was also nice to see it with a friend; there were some paintings, photographs, sculptures where we said to each other, "Now what's this all about?" and we tried to sort it out amongst ourselves. My friend was more well informed in art and culture than I and was able to recognize the names of certain artists (for example, Edvard Munch) and tell me what else they were known for. That was just another aspect about the visit that made it all the more interesting.

Someone pasted calculated crystals at this point:
~~~
Calculated X-ray diffraction stick pattern of Zn2Ni21B20 for Cu Kα (λ = 1.5418 Å), from DFT lattice parameters and positions (PBE).

Peak list (10 most intense, 2θ = 15–90°, low angle first)
2θ (°)	Rel. int.
33.6	23
37.5	100
39.6	17
41.9	23
42.3	99
43.7	21
50.7	64
54.1	16
56.2	15
79.1	25

Cell and atoms:
Cell: 7.196 7.196 14.275 Å, 90.00 90.00 90.00°
Space group I4/mmm (No. 139)
Symmetry-distinct sites (fractional):
Zn (0.000, 0.000, 0.190) (multiplicity 4)
Ni (0.000, 0.000, 0.000) (multiplicity 2)
Ni (0.000, 0.000, 0.362) (multiplicity 4)
Ni (0.000, 0.260, 0.500) (multiplicity 8)
Ni (0.000, 0.300, 0.101) (multiplicity 16)
Ni (0.000, 0.500, 0.250) (multiplicity 4)
Ni (0.250, 0.250, 0.250) (multiplicity 8)
B (0.000, 0.300, 0.346) (multiplicity 16)
B (0.202, 0.202, 0.000) (multiplicity 8)
B (0.207, 0.207, 0.394) (multiplicity 16)


Calculated X-ray diffraction stick pattern of Pm10Y6Tm for Cu Kα (λ = 1.5418 Å), from DFT lattice parameters and positions (PBE).

Peak list (10 most intense, 2θ = 15–90°, low angle first)
2θ (°)	Rel. int.
22.2	10
24.6	10
30.7	43
31.5	76
31.7	100
45.3	27
48.5	15
56.2	24
56.5	17
62.2	12

Cell and atoms:
Cell: 9.8265 9.8265 6.9050 Å, 90.00 90.00 120.00°
Space group P-31m (No. 162)
Symmetry-distinct sites (fractional):
Pm (0.0000, 0.2736, 0.1839) (multiplicity 6)
Pm (0.3333, 0.6667, 0.0000) (multiplicity 2)
Pm (0.3333, 0.6667, 0.5000) (multiplicity 2)
Y (0.0000, 0.3702, 0.6912) (multiplicity 6)
Tm (0.0000, 0.0000, 0.5000) (multiplicity 1)


Calculated X-ray diffraction stick pattern of Pu3HgRu2 for Cu Kα (λ = 1.5418 Å), from DFT lattice parameters and positions (PBE).

Peak list (10 most intense, 2θ = 15–90°, low angle first)
2θ (°)	Rel. int.
27.3	8
31.2	12
35.4	100
39.1	48
40.7	10
49.8	8
56.4	17
60.7	9
61.1	10
68.4	30

Cell and atoms:
Cell: 3.262 3.262 12.073 Å, 90.00 90.00 90.00°
Space group P4/mmm (No. 123)
Symmetry-distinct sites (fractional):
Pu (0.000, 0.000, 0.000) (multiplicity 1)
Pu (0.000, 0.000, 0.298) (multiplicity 2)
Hg (0.500, 0.500, 0.500) (multiplicity 1)
Ru (0.500, 0.500, 0.147) (multiplicity 2)

* * * * *

Record 1
Calculated powder diffraction line list of LaGd2Sn4Pb3 for copper Kα, from DFT lattice parameters and positions (GGA-PBE).
Neutral-atom scattering factors, no anomalous dispersion.

The 10 most intense peaks (2θ = 10–80°), low angle first:
| 2θ (°) | I (rel.) |
| --- | --- |
| 32.18 | 100.0 |
| 34.95 | 18.3 |
| 37.94 | 16.7 |
| 38.99 | 15.5 |
| 52.52 | 12.9 |
| 55.53 | 11.3 |
| 60.94 | 13.5 |
| 64.92 | 14.0 |
| 66.36 | 12.9 |
| 67.32 | 11.3 |

Crystal structure
Lattice parameters (Å, degrees): 13.0424 13.0424 4.7436 90.00 90.00 159.60
Atoms (fractional coordinates):
La1 0.0000 0.0000 0.0000
Gd1 0.1901 0.8099 0.0000
Gd2 0.8099 0.1901 0.0000
Sn1 0.2910 0.7090 0.5000
Sn2 0.4002 0.5998 0.0000
Sn3 0.5998 0.4002 0.0000
Sn4 0.7090 0.2910 0.5000
Pb1 0.1013 0.8987 0.5000
Pb2 0.5000 0.5000 0.5000
Pb3 0.8987 0.1013 0.5000

=====

Record 2
~~~

If you like, here are some other paintings that were featured in the exhibition.

The friend that I went with is from Neuss, so when she drove me back home, I invited her in for some dinner. She's vegetarian and thinking about going vegan. I'd just gotten some bok choi, bean sprouts, hoisin sauce and soy sauce all for €3 at a local asian food shop (and dudes, they sell maramite there! that's for another time, though). So I fried that up with some eggplant and tofu and it was heaven. The End.

EDA: And, just some food for thought: I picked up a book of "erotic photography" the other day (actually, like, two months ago, but whatevs) and in there was a quote from some famous dude. While I don't remember the dude, I do remember (maybe not verbatim) what it said, "Erotic photography reaches the line, pornography crosses it." Something to keep in mind when evaluating a presentation of artwork such as this.


Regina said...

Your food photos should have been included in the erotic art exhibit! Thank goodness for Julie Jones- she has an MFA and has explained some pretty "pointless" stuff to me. Even though I still might not like it, I understand it.

Regina said...

Looking at the paintings from the show, I don't know the stories behind them, but am now curious. The drama, expressions, color, all elements of the paintings depicting scenes from ancient stories, are amazing.

Steffi said...

I so want to see the exhibition! still, you're too harsh with yourself about the "cultured" issue... I mean, c'mon, I've never had any education, dropped out of high school and have parents that would count as "white trash" in the US. what counts is being open-minded and not being afraid of your own opinion about art.

Steffi said...

ok I went to school ^^ I meant I never had any particular education about culture.

Timothy Singer said...

That reminded me of another phrase I like a lot, which goes, "If you never go over the top, how can you know what's on the other side?" Not the same, I know, but anyway...

Christopher T. Terry said...

• Inserted here: records of crystals:
+++
Structure and calculated XRD peak list of LiZnSO4F (a DFT-relaxed cell (PBE, Alexandria); Cu Kα).

Top 12 peaks for 2θ = 10–90°, by intensity:
26.55 deg, rel. 100; 28.32 deg, rel. 59; 25.86 deg, rel. 44; 38.72 deg, rel. 33; 22.88 deg, rel. 27; 18.12 deg, rel. 21; 39.20 deg, rel. 16; 16.49 deg, rel. 15; 42.50 deg, rel. 13; 54.67 deg, rel. 13; 52.55 deg, rel. 13; 32.94 deg, rel. 13

```
data_LiZnSO4F
_chemical_formula_sum 'Li4 Zn4 S4 O16 F4'
_symmetry_space_group_name_H-M 'P 1'
_symmetry_Int_Tables_number 1
_cell_length_a 7.4457
_cell_length_b 6.3029
_cell_length_c 7.7743
_cell_angle_alpha 90.00
_cell_angle_beta 90.00
_cell_angle_gamma 90.00
loop_
_symmetry_equiv_pos_as_xyz
'x,y,z'
loop_
_atom_site_label
_atom_site_fract_x
_atom_site_fract_y
_atom_site_fract_z
Li1 0.0000 0.0000 0.0000
Li2 0.0000 0.5000 0.0000
Li3 0.5000 0.0000 0.5000
Li4 0.5000 0.5000 0.5000
Zn1 0.1274 0.2500 0.3023
Zn2 0.3726 0.7500 0.8023
Zn3 0.6274 0.2500 0.1977
Zn4 0.8726 0.7500 0.6977
S1 0.1352 0.7500 0.3538
S2 0.3648 0.2500 0.8538
S3 0.6352 0.7500 0.1462
S4 0.8648 0.2500 0.6462
O1 0.0300 0.2500 0.5407
O2 0.1336 0.5610 0.2365
O3 0.1336 0.9390 0.2365
O4 0.2014 0.2500 0.9618
O5 0.2986 0.7500 0.4618
O6 0.3664 0.0610 0.7365
O7 0.3664 0.4390 0.7365
O8 0.4700 0.7500 0.0407
O9 0.5300 0.2500 0.9593
O10 0.6336 0.5610 0.2635
O11 0.6336 0.9390 0.2635
O12 0.7014 0.2500 0.5382
O13 0.7986 0.7500 0.0382
O14 0.8664 0.0610 0.7635
O15 0.8664 0.4390 0.7635
O16 0.9700 0.7500 0.4593
F1 0.1043 0.7500 0.8619
F2 0.3957 0.2500 0.3619
F3 0.6043 0.7500 0.6381
F4 0.8957 0.2500 0.1381
```


Structure and calculated XRD peak list of Sr3LiTa4O12F2 (a DFT-relaxed cell (PBE, Alexandria); Cu Kα).

Top 12 peaks for 2θ = 10–90°, by intensity:
28.95 deg, rel. 100; 33.71 deg, rel. 44; 14.36 deg, rel. 43; 29.50 deg, rel. 30; 48.06 deg, rel. 30; 48.77 deg, rel. 29; 57.40 deg, rel. 28; 27.79 deg, rel. 18; 57.08 deg, rel. 15; 58.03 deg, rel. 15; 77.77 deg, rel. 12; 59.98 deg, rel. 12

```
data_Sr3LiTa4O12F2
_chemical_formula_sum 'Sr3 Li1 Ta4 O12 F2'
_symmetry_space_group_name_H-M 'P 1'
_symmetry_Int_Tables_number 1
_cell_length_a 7.4698
_cell_length_b 7.4698
_cell_length_c 7.4698
_cell_angle_alpha 60.92
_cell_angle_beta 60.92
_cell_angle_gamma 60.92
loop_
_symmetry_equiv_pos_as_xyz
'x,y,z'
loop_
_atom_site_label
_atom_site_fract_x
_atom_site_fract_y
_atom_site_fract_z
Sr1 0.0000 0.5000 0.5000
Sr2 0.5000 0.0000 0.5000
Sr3 0.5000 0.5000 0.0000
Li1 0.5000 0.5000 0.5000
Ta1 0.0000 0.0000 0.0000
Ta2 0.0000 0.0000 0.5000
Ta3 0.0000 0.5000 0.0000
Ta4 0.5000 0.0000 0.0000
O1 0.0607 0.6868 0.6868
O2 0.0729 0.0729 0.6786
O3 0.0729 0.6786 0.0729
O4 0.3132 0.3132 0.9393
O5 0.3132 0.9393 0.3132
O6 0.3214 0.9271 0.9271
O7 0.6786 0.0729 0.0729
O8 0.6868 0.0607 0.6868
O9 0.6868 0.6868 0.0607
O10 0.9271 0.3214 0.9271
O11 0.9271 0.9271 0.3214
O12 0.9393 0.3132 0.3132
F1 0.3918 0.3918 0.3918
F2 0.6082 0.6082 0.6082
```


Structure and calculated XRD peak list of LiUO4F (a DFT-relaxed cell (PBE, Alexandria); Cu Kα).
+++

The show sounds great. I've been in Essen for almost three months now, but haven't taken much time to visit museums. I'll put Düsseldorf on my calendar.

Rachel said...

I don't know you!